### Data
/*
Structure and computed powder X-ray diffraction pattern of LiAc2Tl (a crystal structure in the Materials Project, relaxed with GGA-PBE; Cu Ka).

Top 6 peaks for 2θ from 10° to 80°, in order of rising 2θ:
| 2theta | I/Imax | index |
| --- | --- | --- |
| 18.74 | 20 | 1 1 1 |
| 21.68 | 16 | 2 0 0 |
| 30.84 | 100 | 2 2 0 |
| 44.18 | 19 | 4 0 0 |
| 54.85 | 41 | 4 2 2 |
| 72.97 | 18 | 6 2 0 |

Structure:
abc: 8.1995 8.1995 8.1995
angles: 90.00 90.00 90.00
Space group Fm-3m (No. 225)
One atom of each set of equivalent atoms:
Li 0.0000 0.0000 0.0000 [4 per cell]
Ac 0.2500 0.2500 0.2500 [8 per cell]
Tl 0.0000 0.0000 0.5000 [4 per cell]

~~~~~

Na2MoAs2O9: computed X-ray powder pattern (CuKα), based on the GGA+U geometry in the Materials Project.
Peak positions follow from Bragg's law for the DFT cell and can differ from measured ones.

Largest 10 diffraction maxima, most intense first, 10° ≤ 2θ ≤ 90°:
hkl 0 1 1, 2θ = 11.54°, rel. 100
hkl 0 2 1, 2θ = 17.00°, rel. 85
hkl 0 3 1, 2θ = 23.48°, rel. 81
hkl 1 1 2, 2θ = 25.02°, rel. 74
hkl 1 1 0, 2θ = 14.39°, rel. 70
hkl 1 0 -2, 2θ = 20.01°, rel. 68
hkl 1 4 1, 2θ = 33.65°, rel. 56
hkl 2 1 -2, 2θ = 29.09°, rel. 55
hkl 3 1 0, 2θ = 38.69°, rel. 52
hkl 1 1 -1, 2θ = 15.72°, rel. 44

Lattice parameters (Å, degrees): 7.230 12.323 9.974 90.00 100.75 90.00
Element x y z (fractional)
Na 0.004 0.000 0.243
Na 0.132 0.395 0.382
Na 0.134 0.081 0.884
Na 0.469 0.486 0.725
Na 0.531 0.986 0.275
Na 0.866 0.581 0.116
Na 0.868 0.895 0.618
Na 0.996 0.500 0.757
Mo 0.359 0.668 0.206
Mo 0.359 0.809 0.707
Mo 0.641 0.168 0.794
Mo 0.641 0.309 0.293
As 0.078 0.821 0.963
As 0.080 0.656 0.463
As 0.310 0.060 0.545
As 0.310 0.417 0.044
As 0.690 0.560 0.455
As 0.690 0.917 0.956
As 0.920 0.156 0.537
As 0.922 0.321 0.037
O 0.100 0.659 0.295
O 0.100 0.816 0.796
O 0.135 0.937 0.048
O 0.138 0.540 0.550
O 0.158 0.698 0.038
O 0.158 0.779 0.539
O 0.168 0.181 0.547
O 0.170 0.295 0.047
O 0.234 0.976 0.661
O 0.235 0.501 0.160
O 0.288 0.457 0.883
O 0.291 0.020 0.384
O 0.401 0.673 0.747
O 0.403 0.803 0.248
O 0.453 0.131 0.870
O 0.454 0.345 0.371
O 0.464 0.609 0.393
O 0.465 0.868 0.893
O 0.535 0.368 0.107
O 0.536 0.109 0.607
O 0.546 0.845 0.629
O 0.547 0.631 0.130
O 0.597 0.303 0.752
O 0.599 0.173 0.253
O 0.709 0.520 0.616
O 0.712 0.957 0.117
O 0.765 0.001 0.840
O 0.766 0.476 0.339
O 0.830 0.795 0.953
O 0.832 0.681 0.453
O 0.842 0.198 0.962
O 0.842 0.279 0.461
O 0.862 0.040 0.450
O 0.865 0.437 0.952
O 0.900 0.159 0.705
O 0.900 0.316 0.204

~~~~~

The following is a simulated PXRD pattern of CuBIr. It was derived from a DFT-relaxed cell (PBE, the Materials Project), using Cu Kα X-rays.
Kinematic intensities with the Lorentz-polarization factor, no thermal factor.

Largest 8 diffraction maxima, sorted by position, 2θ from 10° to 90°:
2θ/deg, intensity, (hkl)
19.11, 65, 1 1 1
31.80, 39, 1 3 1
34.20, 100, 2 0 2
34.86, 47, 3 1 1
35.91, 67, 0 4 0
43.49, 49, 3 3 1
43.65, 32, 1 1 3
50.43, 69, 2 4 2

Cell and atoms:
a b c (Å): 8.743 10.003 6.554
angles (deg): 90.00 90.00 90.00
Space group Fdd2 (No. 43)
Unique sites:
1 Cu 0.087 0.115 0.000 x16
2 B 0.059 0.232 0.685 x16
3 Ir 0.016 0.137 0.412 x16

~~~~~

The following is a computed X-ray diffraction stick pattern of K3Tm3VO8. It was derived from DFT lattice parameters and positions (PBE+U), using copper Kα.
Lines closer than 0.1° are merged.

Main lines, by angle (10 to 90 degrees two-theta):
| d/Å | 2θ/deg | Rel. int. |
| --- | --- | --- |
| 6.270 | 14.1 | 100 |
| 4.900 | 18.1 | 16 |
| 3.135 | 28.5 | 28 |
| 2.838 | 31.5 | 30 |
| 2.746 | 32.6 | 50 |
| 2.450 | 36.7 | 72 |
| 2.281 | 39.5 | 15 |
| 1.962 | 46.3 | 18 |
| 1.819 | 50.2 | 24 |
| 1.657 | 55.4 | 21 |
| 1.602 | 57.5 | 16 |
| 1.465 | 63.5 | 18 |

a b c (Å): 11.478 6.632 7.348
angles (deg): 90.00 121.42 90.00
Space group C2/m (No. 12)
Inequivalent atoms, fractional coordinates:
K1 0.000 0.000 0.000
K2 0.250 0.250 0.000
Tm1 0.000 0.500 0.500
Tm2 0.250 0.250 0.500
V1 0.000 0.000 0.500
O1 0.020 0.227 0.332
O2 0.207 0.000 0.668
O3 0.227 0.500 0.681
*/

### Exercise
Your job: count the lines earlier on that contain the word "No" and give the number alone.

### Here it is
3